== Given ==
=====
1.
ORCA calculation (ωB97M-V/def2-TZVPD) on a structure of composition C42H51Cl3N5O3ReTe.

As for the lowest unoccupied orbital energy (spin up / spin down): -5.4 / -6.2 eV. For the molar mass, the calculation gives 1094.07 u. Its HOMO-LUMO gap (spin up / spin down) is 7.686 / 6.526 eV. The value obtained for the energy above the lowest of the compared OMol25 structures with the same formula, charge and spin is 0.0 kcal per mole. The calculation puts the HOMO energy (spin up / spin down) at -0.4807 / -0.4667 Ha. The expectation value of S² is 2.02. As for the charge: +2. Its multiplicity is 3.

Geometry as XYZ:
```
106
Properties=species:S:1:pos:R:3:lowdin_spin:R:1
Re 2.06 -1.29 -0.62 1.69
C 4.56 -0.85 1.40 0.00
C 3.17 -1.46 1.54 0.00
C 2.27 -0.74 2.39 0.05
C 2.50 0.73 2.62 0.01
C 1.24 -1.40 3.04 0.02
C 0.39 -0.69 4.06 0.00
C 0.98 -2.76 2.75 0.02
C -0.17 -3.44 3.44 0.00
C 1.80 -3.47 1.87 0.04
C 1.53 -4.93 1.64 0.01
C 2.93 -2.84 1.30 -0.01
C 3.98 -3.73 0.66 0.00
H 4.99 -0.78 2.40 0.00
H 4.55 0.15 0.98 0.00
H 5.24 -1.44 0.80 0.00
H 1.57 1.25 2.81 0.00
H 2.99 1.19 1.76 0.00
H 3.15 0.91 3.48 0.00
H 0.20 -1.34 4.92 0.00
H -0.59 -0.40 3.66 0.00
H 0.87 0.21 4.44 0.00
H -0.53 -4.30 2.88 0.00
H -1.00 -2.76 3.58 0.00
H 0.13 -3.79 4.43 0.00
H 2.21 -5.37 0.91 0.00
H 0.52 -5.10 1.28 0.00
H 1.64 -5.50 2.56 0.00
H 4.37 -4.42 1.41 0.00
H 4.83 -3.18 0.26 0.00
H 3.59 -4.32 -0.16 0.00
Cl 5.10 -1.02 -4.38 0.00
C 5.44 -1.77 -2.80 0.00
Cl 5.78 -3.47 -2.99 0.00
Cl 6.77 -0.94 -2.00 0.00
C 4.16 -1.57 -1.99 0.01
O 3.92 -0.49 -1.39 0.03
O 3.28 -2.47 -1.91 0.03
C -2.28 5.64 5.31 0.00
C -1.90 4.64 4.26 0.00
C -0.76 4.81 3.48 0.00
C -0.39 3.89 2.50 0.00
C 0.87 4.17 1.72 0.00
C -1.22 2.77 2.32 0.00
Te -0.61 1.63 0.70 0.01
N 0.36 -1.21 0.10 -0.02
C -0.79 -1.22 0.60 0.02
O -1.26 -0.09 1.28 0.00
C -1.73 -2.35 0.61 0.00
C -1.39 -3.51 -0.07 0.01
C -2.25 -4.59 -0.07 0.00
C -3.45 -4.53 0.63 0.01
C -3.79 -3.37 1.32 0.00
C -2.94 -2.28 1.31 0.00
C -2.10 2.01 -0.70 0.00
C -3.31 1.33 -0.63 0.00
C -4.30 1.61 -1.56 0.00
C -4.06 2.57 -2.54 0.00
C -2.85 3.23 -2.59 0.00
C -1.83 2.97 -1.68 0.00
C -0.55 3.75 -1.78 0.00
C -2.37 2.56 3.09 0.00
C -3.29 1.37 2.98 0.00
C -2.68 3.51 4.05 0.00
H -1.53 6.43 5.40 0.00
H -2.40 5.16 6.28 0.00
H -3.23 6.11 5.05 0.00
H -0.13 5.68 3.64 0.00
H 1.32 5.09 2.07 0.00
H 0.70 4.31 0.65 0.00
H 1.61 3.37 1.84 0.00
H -0.45 -3.57 -0.61 0.00
H -1.99 -5.49 -0.61 0.00
H -4.12 -5.38 0.64 0.00
H -4.72 -3.32 1.87 0.00
H -3.20 -1.39 1.85 0.00
H -3.48 0.58 0.13 0.00
H -5.24 1.09 -1.52 0.00
H -4.83 2.80 -3.26 0.00
H -2.68 3.97 -3.37 0.00
H -0.31 3.94 -2.82 0.00
H 0.32 3.24 -1.36 0.00
H -0.65 4.72 -1.28 0.00
H -2.96 0.62 2.27 0.00
H -4.30 1.70 2.70 0.00
H -3.37 0.89 3.95 0.00
H -3.56 3.35 4.66 0.00
C -0.70 1.88 -6.54 0.00
C -0.40 0.39 -6.61 0.00
C -1.55 -0.47 -6.11 0.00
C 0.93 -0.01 -5.97 0.00
N 0.91 -0.05 -4.49 0.01
C 1.55 -0.89 -3.69 0.02
N 1.27 -0.55 -2.45 0.01
N 0.44 0.51 -2.52 0.01
N 0.23 0.82 -3.73 0.00
H -1.60 2.09 -7.11 0.00
H 0.11 2.47 -6.96 0.00
H -0.87 2.21 -5.51 0.00
H -0.23 0.14 -7.67 0.00
H -1.83 -0.22 -5.09 0.00
H -1.32 -1.54 -6.15 0.00
H -2.43 -0.32 -6.73 0.00
H 1.74 0.67 -6.26 0.00
H 1.20 -1.02 -6.27 0.00
H 2.17 -1.71 -4.01 0.00
```

2.
ORCA calculation (ωB97M-V/def2-TZVPD) on an isolated molecule of C10H10S5 at a distorted geometry.

As for the lowest unoccupied orbital energy: 0.4 eV. For the molar mass, the calculation gives 290.52 u. Its HOMO-LUMO gap is 8.808 eV. The value obtained for the energy above the lowest of the compared OMol25 structures with the same formula, charge and spin is 93.0 kcal per mole. The calculation puts the HOMO energy at -0.3100 Ha. The SMILES is c1csc(CSSSCc2cccs2)c1. As for the charge: 0.

Geometry as XYZ:
```
25
Properties=species:S:1:pos:R:3:lowdin_charge:R:1
C -0.95 2.35 -1.42 -0.43
C -1.36 -1.79 1.78 -0.68
C -0.29 -1.07 2.34 -0.70
C 0.82 -1.40 1.70 -0.11
C 1.77 -0.29 2.08 -0.15
C 1.33 0.55 3.13 -0.43
C -0.34 1.34 -2.31 -0.59
C 0.80 0.64 -1.99 -0.20
C 1.20 -0.44 -2.84 -0.16
C 0.11 -0.67 -3.67 -0.49
=====

== Work order ==
The reader should duplicate the lines further above up to the one that holds "-3.37 0.00", that line included.

== Written answer ==
1.
ORCA calculation (ωB97M-V/def2-TZVPD) on a structure of composition C42H51Cl3N5O3ReTe.

As for the lowest unoccupied orbital energy (spin up / spin down): -5.4 / -6.2 eV. For the molar mass, the calculation gives 1094.07 u. Its HOMO-LUMO gap (spin up / spin down) is 7.686 / 6.526 eV. The value obtained for the energy above the lowest of the compared OMol25 structures with the same formula, charge and spin is 0.0 kcal per mole. The calculation puts the HOMO energy (spin up / spin down) at -0.4807 / -0.4667 Ha. The expectation value of S² is 2.02. As for the charge: +2. Its multiplicity is 3.

Geometry as XYZ:
```
106
Properties=species:S:1:pos:R:3:lowdin_spin:R:1
Re 2.06 -1.29 -0.62 1.69
C 4.56 -0.85 1.40 0.00
C 3.17 -1.46 1.54 0.00
C 2.27 -0.74 2.39 0.05
C 2.50 0.73 2.62 0.01
C 1.24 -1.40 3.04 0.02
C 0.39 -0.69 4.06 0.00
C 0.98 -2.76 2.75 0.02
C -0.17 -3.44 3.44 0.00
C 1.80 -3.47 1.87 0.04
C 1.53 -4.93 1.64 0.01
C 2.93 -2.84 1.30 -0.01
C 3.98 -3.73 0.66 0.00
H 4.99 -0.78 2.40 0.00
H 4.55 0.15 0.98 0.00
H 5.24 -1.44 0.80 0.00
H 1.57 1.25 2.81 0.00
H 2.99 1.19 1.76 0.00
H 3.15 0.91 3.48 0.00
H 0.20 -1.34 4.92 0.00
H -0.59 -0.40 3.66 0.00
H 0.87 0.21 4.44 0.00
H -0.53 -4.30 2.88 0.00
H -1.00 -2.76 3.58 0.00
H 0.13 -3.79 4.43 0.00
H 2.21 -5.37 0.91 0.00
H 0.52 -5.10 1.28 0.00
H 1.64 -5.50 2.56 0.00
H 4.37 -4.42 1.41 0.00
H 4.83 -3.18 0.26 0.00
H 3.59 -4.32 -0.16 0.00
Cl 5.10 -1.02 -4.38 0.00
C 5.44 -1.77 -2.80 0.00
Cl 5.78 -3.47 -2.99 0.00
Cl 6.77 -0.94 -2.00 0.00
C 4.16 -1.57 -1.99 0.01
O 3.92 -0.49 -1.39 0.03
O 3.28 -2.47 -1.91 0.03
C -2.28 5.64 5.31 0.00
C -1.90 4.64 4.26 0.00
C -0.76 4.81 3.48 0.00
C -0.39 3.89 2.50 0.00
C 0.87 4.17 1.72 0.00
C -1.22 2.77 2.32 0.00
Te -0.61 1.63 0.70 0.01
N 0.36 -1.21 0.10 -0.02
C -0.79 -1.22 0.60 0.02
O -1.26 -0.09 1.28 0.00
C -1.73 -2.35 0.61 0.00
C -1.39 -3.51 -0.07 0.01
C -2.25 -4.59 -0.07 0.00
C -3.45 -4.53 0.63 0.01
C -3.79 -3.37 1.32 0.00
C -2.94 -2.28 1.31 0.00
C -2.10 2.01 -0.70 0.00
C -3.31 1.33 -0.63 0.00
C -4.30 1.61 -1.56 0.00
C -4.06 2.57 -2.54 0.00
C -2.85 3.23 -2.59 0.00
C -1.83 2.97 -1.68 0.00
C -0.55 3.75 -1.78 0.00
C -2.37 2.56 3.09 0.00
C -3.29 1.37 2.98 0.00
C -2.68 3.51 4.05 0.00
H -1.53 6.43 5.40 0.00
H -2.40 5.16 6.28 0.00
H -3.23 6.11 5.05 0.00
H -0.13 5.68 3.64 0.00
H 1.32 5.09 2.07 0.00
H 0.70 4.31 0.65 0.00
H 1.61 3.37 1.84 0.00
H -0.45 -3.57 -0.61 0.00
H -1.99 -5.49 -0.61 0.00
H -4.12 -5.38 0.64 0.00
H -4.72 -3.32 1.87 0.00
H -3.20 -1.39 1.85 0.00
H -3.48 0.58 0.13 0.00
H -5.24 1.09 -1.52 0.00
H -4.83 2.80 -3.26 0.00
H -2.68 3.97 -3.37 0.00